### Request
What is needed: copy everything further below character by character.

### Given
~~~
# 1
The following is a theoretical powder diffraction line list of Sn5HgTe4. It was derived from a structure optimized by DFT (GGA-PBE), using Cu Kα (λ = 1.5418 Å).
Kinematic intensities with the Lorentz-polarization factor, no thermal factor.

Most intense lines, 10 to 90 degrees two-theta, in order of rising 2θ:
| 2θ (°) | I/Imax |
| --- | --- |
| 28.20 | 100 |
| 40.31 | 77 |
| 49.92 | 28 |
| 65.97 | 25 |
| 66.11 | 12 |
| 73.24 | 18 |

Cell and atoms:
```
Sn5HgTe4
1.0
-2.240 2.240 15.794
2.240 -2.240 15.794
2.240 2.240 -15.794
Sn Hg Te
5 1 4
direct
0.000 0.000 0.000
0.201 0.201 0.000
0.403 0.403 0.000
0.597 0.597 0.000
0.799 0.799 0.000
0.500 0.500 0.000
0.101 0.101 0.000
0.303 0.303 0.000
0.697 0.697 0.000
0.899 0.899 0.000
```


# 2
The following is a theoretical powder diffraction line list of Sn2Hg4Te5. It was derived from a structure optimized by DFT (GGA-PBE), using Cu Kα (λ = 1.5418 Å).
Kinematic intensities with the Lorentz-polarization factor, no thermal factor.

Most intense lines, 10 to 90 degrees two-theta, in order of rising 2θ:
| 2θ (°) | I/Imax |
| --- | --- |
| 22.41 | 48 |
| 27.51 | 100 |
| 39.25 | 86 |
| 39.36 | 53 |
| 48.60 | 24 |
| 71.19 | 34 |

Cell and atoms:
```
Sn2Hg4Te5
1.0
2.295 1.325 20.532
-2.295 1.325 20.532
0.000 -2.650 20.532
Sn Hg Te
2 4 5
direct
0.137 0.137 0.137
0.863 0.863 0.863
0.316 0.316 0.316
0.417 0.417 0.417
0.583 0.583 0.583
0.684 0.684 0.684
0.225 0.225 0.225
0.371 0.371 0.371
0.500 0.500 0.500
0.629 0.629 0.629
0.775 0.775 0.775
```


# 3
The following is a theoretical powder diffraction line list of TlSnHg2Te4. It was derived from a structure optimized by DFT (GGA-PBE), using Cu Kα (λ = 1.5418 Å).
Kinematic intensities with the Lorentz-polarization factor, no thermal factor.

Most intense lines, 10 to 90 degrees two-theta, in order of rising 2θ:
| 2θ (°) | I/Imax |
| --- | --- |
| 25.27 | 100 |
| 31.01 | 68 |
| 38.31 | 34 |
| 42.43 | 26 |
| 43.56 | 25 |
| 49.65 | 20 |

Cell and atoms:
```
TlSnHg2Te4
1.0
-3.782 4.450 4.460
3.782 -4.450 4.460
3.782 4.450 -4.460
Tl Sn Hg Te
1 1 2 4
direct
0.000 0.000 0.000
0.500 0.000 0.500
0.318 0.500 0.818
0.682 0.500 0.182
0.119 0.030 0.536
0.494 0.582 0.464
0.506 0.970 0.089
0.881 0.418 0.911
```


# 4
The following is a theoretical powder diffraction line list of ThTlSnHg. It was derived from a structure optimized by DFT (GGA-PBE), using Cu Kα (λ = 1.5418 Å).
Kinematic intensities with the Lorentz-polarization factor, no thermal factor.

Most intense lines, 10 to 90 degrees two-theta, in order of rising 2θ:
| 2θ (°) | I/Imax |
| --- | --- |
| 32.62 | 100 |
| 36.37 | 19 |
| 38.43 | 16 |
| 38.69 | 16 |
| 63.09 | 16 |
| 65.86 | 14 |

Cell and atoms:
```
ThTlSnHg
1.0
4.655 0.000 0.000
0.000 4.685 0.000
0.000 0.000 4.940
Th Tl Sn Hg
1 1 1 1
direct
0.000 0.000 0.000
0.500 0.000 0.500
0.500 0.500 0.000
0.000 0.500 0.500
```


# 5
The following is a theoretical powder diffraction line list of Ti6SnHg. It was derived from a structure optimized by DFT (GGA-PBE), using Cu Kα (λ = 1.5418 Å).
Kinematic intensities with the Lorentz-polarization factor, no thermal factor.

Most intense lines, 10 to 90 degrees two-theta, in order of rising 2θ:
| 2θ (°) | I/Imax |
| --- | --- |
| 17.46 | 22 |
| 25.56 | 48 |
| 35.34 | 25 |
| 37.57 | 27 |
| 40.19 | 100 |
| 69.56 | 26 |

Cell and atoms:
```
Ti6SnHg
~~~

### Here it is
# 1
The following is a theoretical powder diffraction line list of Sn5HgTe4. It was derived from a structure optimized by DFT (GGA-PBE), using Cu Kα (λ = 1.5418 Å).
Kinematic intensities with the Lorentz-polarization factor, no thermal factor.

Most intense lines, 10 to 90 degrees two-theta, in order of rising 2θ:
| 2θ (°) | I/Imax |
| --- | --- |
| 28.20 | 100 |
| 40.31 | 77 |
| 49.92 | 28 |
| 65.97 | 25 |
| 66.11 | 12 |
| 73.24 | 18 |

Cell and atoms:
```
Sn5HgTe4
1.0
-2.240 2.240 15.794
2.240 -2.240 15.794
2.240 2.240 -15.794
Sn Hg Te
5 1 4
direct
0.000 0.000 0.000
0.201 0.201 0.000
0.403 0.403 0.000
0.597 0.597 0.000
0.799 0.799 0.000
0.500 0.500 0.000
0.101 0.101 0.000
0.303 0.303 0.000
0.697 0.697 0.000
0.899 0.899 0.000
```


# 2
The following is a theoretical powder diffraction line list of Sn2Hg4Te5. It was derived from a structure optimized by DFT (GGA-PBE), using Cu Kα (λ = 1.5418 Å).
Kinematic intensities with the Lorentz-polarization factor, no thermal factor.

Most intense lines, 10 to 90 degrees two-theta, in order of rising 2θ:
| 2θ (°) | I/Imax |
| --- | --- |
| 22.41 | 48 |
| 27.51 | 100 |
| 39.25 | 86 |
| 39.36 | 53 |
| 48.60 | 24 |
| 71.19 | 34 |

Cell and atoms:
```
Sn2Hg4Te5
1.0
2.295 1.325 20.532
-2.295 1.325 20.532
0.000 -2.650 20.532
Sn Hg Te
2 4 5
direct
0.137 0.137 0.137
0.863 0.863 0.863
0.316 0.316 0.316
0.417 0.417 0.417
0.583 0.583 0.583
0.684 0.684 0.684
0.225 0.225 0.225
0.371 0.371 0.371
0.500 0.500 0.500
0.629 0.629 0.629
0.775 0.775 0.775
```


# 3
The following is a theoretical powder diffraction line list of TlSnHg2Te4. It was derived from a structure optimized by DFT (GGA-PBE), using Cu Kα (λ = 1.5418 Å).
Kinematic intensities with the Lorentz-polarization factor, no thermal factor.

Most intense lines, 10 to 90 degrees two-theta, in order of rising 2θ:
| 2θ (°) | I/Imax |
| --- | --- |
| 25.27 | 100 |
| 31.01 | 68 |
| 38.31 | 34 |
| 42.43 | 26 |
| 43.56 | 25 |
| 49.65 | 20 |

Cell and atoms:
```
TlSnHg2Te4
1.0
-3.782 4.450 4.460
3.782 -4.450 4.460
3.782 4.450 -4.460
Tl Sn Hg Te
1 1 2 4
direct
0.000 0.000 0.000
0.500 0.000 0.500
0.318 0.500 0.818
0.682 0.500 0.182
0.119 0.030 0.536
0.494 0.582 0.464
0.506 0.970 0.089
0.881 0.418 0.911
```


# 4
The following is a theoretical powder diffraction line list of ThTlSnHg. It was derived from a structure optimized by DFT (GGA-PBE), using Cu Kα (λ = 1.5418 Å).
Kinematic intensities with the Lorentz-polarization factor, no thermal factor.

Most intense lines, 10 to 90 degrees two-theta, in order of rising 2θ:
| 2θ (°) | I/Imax |
| --- | --- |
| 32.62 | 100 |
| 36.37 | 19 |
| 38.43 | 16 |
| 38.69 | 16 |
| 63.09 | 16 |
| 65.86 | 14 |

Cell and atoms:
```
ThTlSnHg
1.0
4.655 0.000 0.000
0.000 4.685 0.000
0.000 0.000 4.940
Th Tl Sn Hg
1 1 1 1
direct
0.000 0.000 0.000
0.500 0.000 0.500
0.500 0.500 0.000
0.000 0.500 0.500
```


# 5
The following is a theoretical powder diffraction line list of Ti6SnHg. It was derived from a structure optimized by DFT (GGA-PBE), using Cu Kα (λ = 1.5418 Å).
Kinematic intensities with the Lorentz-polarization factor, no thermal factor.

Most intense lines, 10 to 90 degrees two-theta, in order of rising 2θ:
| 2θ (°) | I/Imax |
| --- | --- |
| 17.46 | 22 |
| 25.56 | 48 |
| 35.34 | 25 |
| 37.57 | 27 |
| 40.19 | 100 |
| 69.56 | 26 |

Cell and atoms:
```
Ti6SnHg